Review Salary Sacrifice Agreements

The beginning of the financial year is an ideal time to review salary sacrifice arrangements.  This is especially important for individuals likely to be close to their contribution caps, or wishing to maximise their concessional contributions to superannuation.  As a reminder, the concessional contributions cap is $25,000 (or $50,000 for individuals who are aged 50 or over on the last day of the financial year).

Entry 1:
{
  "formula": "Ba4CaCu2CO9",
  "functional": "PBE-GGA",
  "state": "relaxed",
  "space_group": "No. 38",
  "energy_mp2020_ev_per_cell": -113.25,
  "dft_energy_ev_per_cell": -107.07,
  "cell": [[4.073, -4.205, 0.000], [4.073, 4.205, 0.000], [0.000, 0.000, 8.312]],
  "species": ["Cu", "C", "O", "O", "O", "Ba", "Ba", "O", "Ba", "O", "O", "O", "O", "O", "Cu", "Ca", "Ba"],
  "frac_coords": [[0.502, 0.498, 0.000], [0.497, 0.503, 0.500], [0.342, 0.658, 0.500], [0.999, 0.001, 0.719], [0.999, 0.001, 0.281], [0.501, 0.993, 0.232], [0.007, 0.499, 0.232], [0.278, 0.722, 0.000], [0.501, 0.993, 0.768], [0.574, 0.426, 0.636], [0.724, 0.276, 0.000], [0.574, 0.426, 0.364], [0.275, 0.273, 0.000], [0.727, 0.725, 0.000], [0.996, 0.004, 0.500], [0.999, 0.001, 0.000], [0.007, 0.499, 0.768]]
}


Entry 2:
{
  "formula": "Na3Ca2La2PS5O24",
  "functional": "PBE-GGA",
  "state": "relaxed",
  "space_group": "No. 1",
  "energy_mp2020_ev_per_cell": -779.94,
  "dft_energy_ev_per_cell": -730.47,
  "cell": [[-3.792, 8.587, 0.122], [-4.135, -7.022, 4.690], [13.313, 5.644, 20.069]],
  "species": ["O", "O", "S", "Na", "O", "O", "Na", "Na", "O", "O", "O", "Ca", "O", "S", "O", "Ca", "S", "O", "La", "S", "O", "O", "O", "O", "S", "O", "O", "S", "O", "O", "O", "O", "O", "S", "O", "La", "O", "O", "O", "O", "O", "Na", "La", "O", "O", "O", "O", "O", "O", "O", "O", "O", "La", "O", "P", "Na", "S", "O", "O", "O", "La", "O", "Na", "S", "O", "S", "O", "O", "S", "O", "O", "O", "O", "P", "Ca", "O", "O", "O", "S", "S", "O", "O", "O", "O", "O", "O", "La", "O", "O", "O", "Na", "S", "S", "O", "P", "Na", "O", "Na", "Ca", "O", "O", "O", "O", "O", "O", "O", "O", "Ca", "Ca", "O", "O"],

Exceeding Contribution Limits can lead to additional tax which effectively taxes your excess contributions at 46% or possibly higher depending on other contributions.

When reviewing or creating a new salary sacrifice agreement, consideration should be given to:

  • the terms of the agreement specifying the amount(s) and timing of salary sacrifice contributions, e.g. whether additional items will be sacrificed, such as end of year bonuses.
  • the number of pay cycles in the coming financial year. In 2011/12, for employees who are paid on a Friday, there will be 53 weekly pay cycles in the year or there may be 27 pay cycles in the year if paid fortnightly.  You may have an extra pay cycle during the financial year and possibly additional superannuation guarantee (SG) and/or salary sacrifice contributions, depending on when your employer makes these contributions and your level of income.
  • factoring in concessional contributions from all sources that will be paid in coming financial year, even if they relate to the previous financial year.   This includes items such as SG and insurance premiums paid by your employer or you for cover effected through superannuation.  For details about contributions that count against the concessional cap contact your Financial Adviser.
  • capturing SG and salary sacrifice contributions made in situations where you changes job, and
  • factoring in a reasonable buffer for pay rises or bonuses received that may occur during the financial year or unexpected employer contributions.
  • understanding your employer's policy regarding SG contributions and whether your employer pays 9% on employee earnings in excess of the maximum quarterly earnings base of $43,820 (2011/12 year).

While the above planning may help avoid an excess contributions problem, it would be wise to review the actual concessional contributions made before the end of the financial year.  This way you can ensure any changes in your employment, income or superannuation contributions since 1 July don't derail your plans.


Sound confusing?  Contact us for more information about salary sacrifice and contribution caps or to arrange a, no-obligation first consultation, please contact:


GEM Capital

Phone: 08 8273 3222


Note: Advice contained in this flyer is general in nature and does not consider your particular situation or needs. Please do not act on this advice until its appropriateness has been determined by a qualified adviser. While the taxation implications of this information have been considered, we are not, nor do we purport to be registered tax agents. We strongly recommend you seek detailed tax advice from an appropriately qualified tax agent before proceeding.  The information provided is current as at July 2011.